Beyond Pink: Supporting People with Breast Cancer

My joyful daughter right after her hair was cut. Photo credit: Kelly Walsh

Seven years ago, I attended my first Pink Out volleyball game in conjunction with Breast Cancer Awareness month. I hadn’t been to anything like it before. Pink banners and posters lined the gym walls. The volleyball team wore special dark fuchsia jerseys and pale pink hair ribbons. The cheerleaders shook pink sparkly pom poms, while pink-wrapped bake sale goodies overflowed the tables. Each player dedicated her game in honor of someone affected by cancer. The whole evening was impressive, well planned, and highly attended. I teach at the school that hosted it and I left with a sense of pride at the ownership and thoughtfulness our students took to plan such a wonderful evening to raise awareness.

My husband, who never does anything halfway, and our daughter before she cut her hair. Photo credit: Kelly Walsh

The next year, I made sure to add the date to my calendar so we wouldn’t miss the game, but a conversation the week before Pink Out changed my entire outlook. The volleyball coach and coordinator of Pink Out, Heidi Henke, explained to me how and why Pink Out began. In 2005, her sister was diagnosed with breast cancer and then went into remission in 2006. Five years later, the cancer returned with a vengeance and her sister, Amy, asked for prayer.

Coach Henke shared her sister’s request with her volleyball team and they rallied around Amy. The players ultimately decided to dedicate the entire season to her. The team looked for ways throughout the season to support Amy, but the biggest undertaking was developing and planning a Pink Out game in support of her and everyone else fighting cancer. In the state championship game, the team clinched the first of many state titles in Amy’s honor and even gave her a State championship medal and ring, which she wears as a necklace. Amy has stage 4 cancer and she fights daily, but every year Pink Out is a source of encouragement and support to her.

-- Misplaced records of molecules --
........
# C28H66BBr6O32P6

A 10-piece molecular cluster, C28H66BBr6O32P6 overall at a distorted geometry (ωB97M-V/def2-TZVPD, OMol25).

```
139
C28H66BBr6O32P6 (ωB97M-V/def2-TZVPD)
Br -0.788 -3.469 7.778
Br -3.492 3.901 -4.585
Br -1.945 -4.557 1.643
Br -5.309 -2.475 -0.829
Br -3.142 -1.498 4.367
Br -4.989 1.479 -0.928
P 5.859 -3.373 1.617
P 4.188 2.482 6.421
P -3.409 -5.256 -4.934
P 2.761 4.192 -0.087
P -1.910 4.192 3.885
P -2.197 1.046 -7.786
O 6.299 -2.655 2.946
O -2.871 3.473 2.829
O -0.626 1.038 -2.157
O 1.956 3.376 -1.179
O 4.504 -2.658 1.270
O 5.440 -4.825 2.102
O -1.822 -0.365 -8.436
O 1.822 -0.733 1.067
O 6.912 -3.439 0.611
O -1.850 -5.492 -4.864
O 5.176 3.268 5.473
O -3.631 1.344 -8.389
O 3.378 3.649 7.111
O -3.637 -3.836 -5.571
O -2.675 4.889 4.907
O -0.690 -1.853 -2.516
O 3.082 5.570 -0.433
O 3.954 3.208 0.228
O 4.739 1.529 7.368
O 0.268 -1.808 -0.478
O 1.852 4.097 1.198
O -3.806 -6.223 -6.110
O -0.417 -0.913 1.705
O -1.198 2.079 -7.958
O -2.657 0.713 -6.312
O 2.756 -1.084 3.042
O -0.967 5.110 3.011
O 0.168 0.522 -0.161
O -0.025 -1.276 3.861
O 3.182 1.877 5.364
O -4.132 -5.443 -3.677
O -0.878 3.098 4.340
C -1.448 -2.106 6.541
C 5.863 2.553 4.450
C -2.199 -2.826 5.448
C -3.333 -7.543 -6.091
C -2.321 3.056 1.587
C -0.329 0.246 -1.346
C -3.961 -2.679 -4.781
C 0.853 3.982 -1.894
C -3.922 -3.735 -0.288
C -3.921 1.211 -9.769
C 4.487 -4.974 3.156
C -0.317 -1.289 -1.532
C -2.626 -1.503 -8.146
C -4.213 2.902 -2.045
C 3.159 4.917 6.454
C 6.907 -1.367 2.897
C 5.102 3.236 -0.631
C 0.314 -1.105 2.765
C 1.790 -1.012 2.350
C -1.662 0.635 -5.271
C -1.515 6.292 2.418
C -1.384 1.860 4.928
C -4.410 2.570 -3.489
C -1.046 -4.695 -3.994
C 1.459 2.803 1.682
C -3.314 -3.295 1.025
C 3.753 -3.075 0.129
C 2.309 0.823 5.685
B 0.475 -0.751 0.527
H -3.059 -2.107 -4.555
H 3.704 -2.242 -0.562
H 0.466 4.813 -1.293
H -0.638 -1.498 6.160
H 1.559 1.071 6.442
H -1.854 1.434 -4.566
H 2.779 -3.322 0.541
H -4.404 -4.701 -0.190
H 2.525 4.801 5.568
H -0.647 0.672 -5.672
H 7.116 -1.023 3.903
H 3.901 -5.875 2.990
H -2.624 -1.778 -7.098
H 5.700 3.106 3.522
H 6.932 2.439 4.615
H 5.447 1.562 4.248
H 6.208 -0.674 2.420
H -1.547 -3.329 4.744
H 1.747 0.497 4.812
H -2.061 3.897 0.941
H -3.669 -1.409 -8.480
H -4.490 0.304 -9.959
H 2.642 5.560 7.160
H -3.161 2.879 -1.799
H 4.906 3.573 -1.648
H 4.128 -3.938 -0.423
H -4.447 -2.901 -3.836
H 1.242 4.386 -2.830
H -0.050 -4.603 -4.411
H 2.851 -0.058 6.035
H -1.335 6.266 1.343
H -2.820 -2.341 0.886
H -5.461 2.520 -3.756
H -1.771 2.142 5.906
H -2.584 6.423 2.586
H -1.516 -3.738 -3.781
H 2.277 2.307 2.202
H -3.006 1.188 -10.369
H -0.562 1.156 5.037
H -4.454 2.107 -10.080
H -2.059 1.410 4.200
H 3.763 -4.146 3.156
H -3.187 -3.782 -1.085
H -2.268 -2.319 -8.777
H 1.183 2.173 0.828
H -0.963 7.132 2.837
H -2.329 -7.603 -5.671
H -2.906 -3.516 5.891
H 7.817 -1.440 2.303
H 5.562 2.246 -0.667
H -4.561 3.855 -1.660
H -1.475 2.370 1.689
H -4.079 -3.268 1.789
H 0.043 3.288 -2.102
H 4.112 5.337 6.136
H -0.972 -5.239 -3.050
H 5.886 3.880 -0.214
H -3.960 1.602 -3.689
........

Hearing Heidi and Amy’s story made Pink Out personal. It wasn’t just any event drenched in pink, raising general awareness for some theoretical person. It was a special way to support Amy, who was enduring the horrible, exhausting, life-changing effects that come with fighting cancer.

Last year, it became even more personal to our family when my mother-in-law was diagnosed with breast cancer. A few months into chemotherapy, after seeing some hair fall out, she boldly shaved her head. She’s the type of lady who is not easily ruffled and always looks for the best in every situation, so she immediately started rocking beautiful head wraps and some fantastic wigs. Seeing Oma without her hair prompted a lot of great and tough conversations in our house with our kids. Sometimes they asked questions we couldn’t answer, and we often reminded our kids that we might not know the future outcome, but we can do things in the present to show support and love.

Our oldest daughter donating her hair for the second year in a row. Photo credit: Kelly Walsh

One way my kids chose to show support was to donate their hair in honor of their Oma. Last year, my oldest daughter donated her hair, and this year, she along with her younger sister, donated again. Both daughters felt like their small sacrifice contributed to something bigger than themselves.

My hair is currently about four inches long total so donating isn’t an option for me, but I asked my mother-in-law, my aunt, and few other friends for some other ways I could offer support. They each shared a few helpful, meaningful, and supportive ways people encouraged them while they endured chemotherapy, radiation, surgery, and numerous trips to the doctor.


Everyone mentioned how much they appreciated meals. Some people gave gift cards to restaurants, others brought over home-cooked casseroles, and some brought grocery bags of produce and sandwich fixings, and ALL of it was helpful.

Prayer Shawls and Blankets

Hospitals can be cold, and special warm blankets reminded these ladies that others were thinking of them. My mother-in-law received several prayer shawls that reminded her she was wrapped in prayer by others.

A Curated List of Relaxing Music

My aunt mentioned that someone created a CD of relaxing music for her and she used it frequently.

Free House Cleaning

My mother-in-law heard about Cleaning for a Reason at her doctor’s office and this non-profit organization gives a free house cleaning to women undergoing treatment for any type of cancer. My mother-in-law appreciated this, especially since her energy was low for a while.

Chemo Day Gifts

My mother-in-law was given a basket full of wrapped gifts before she started chemotherapy and there was one gift to open for each time she finished a treatment. The small gifts were a bright spot on a hard day.

Conversation with Cancer Survivors

Every person I talked to mentioned how helpful it was to talk to someone else who had been through it before.

A TV Show that Brings Laughter

My aunt and uncle chose a television show to watch regularly that made them laugh. They wanted a consistent source of laughter during a tough season.

Pink Out or Special Walks

Each person was touched that people showed up to events in their honor, whether it was a Pink Out event, the Susan G. Komen walk, or any other organized occasion that brought breast cancer awareness and support. They were reminded of everyone’s support through these events.

The team huddling up before the game. Photo credit: Kelly Walsh

Once you know someone’s story, it’s hard to ignore their needs and that’s the benefit of true community. I’ve only met Amy once, but her story has impacted my family in a lasting way and she has helped us be more compassionate towards anyone fighting cancer, including our very own family.


Ashley Ashcraft has spent the majority of her life in North Texas. Born in Dallas, she attended Concordia University of Texas in Austin for an undergraduate degree and spent her mid-20’s in beautiful, easy-going Hawaii where she taught at a high school and obtained a masters of education in educational foundations from the University of Hawaii. The birth of her first daughter, now seven years old, brought her and her husband back to Texas and to family. Since then, they’ve added two more girls and a boy to the mix. Ashley now teaches at Prince of Peace Christian School in Carrollton (Go Eagles!) and has learned it takes a village and a lot of grace to be a wife, mom of four, teacher, and avid Eagle fan. In the evenings you can usually find her supporting Eagles’ sports, trying to keep up with laundry, coaxing her kids to eat meat, or enjoying time out in the neighborhood with her wonderful neighbors. Ashley is not an expert mom, but she’s surrounded by an amazing tribe of women that help her to be the best mom and wife possible. She recently started blogging at As You Do Life and you can also find her on Twitter @AshleyAshcraft .